Friday, July 11, 2008

[Inserted here: data records]
Theoretical XRD peak list of Na5Mn2P2C2O14 for Cu Kα, 1.54184 Å, from a crystal structure in the Materials Project, relaxed with PBE+U.
Kinematic intensities with the Lorentz-polarization factor, no thermal factor.

Structural model:
```
Na5Mn2P2C2O14
1.0
8.462 0.000 0.000
-1.941 8.256 0.000
-0.098 -0.129 9.012
Na Mn P C O
10 4 4 4 28
Direct
0.113 0.111 0.266
0.135 0.645 0.753
0.259 0.509 0.420
0.370 0.363 0.756
0.385 0.887 0.262
0.615 0.113 0.738
0.630 0.637 0.244
0.741 0.491 0.580
0.865 0.355 0.247
0.887 0.889 0.734
0.016 0.765 0.144
0.486 0.735 0.858
0.514 0.265 0.142
0.984 0.235 0.856
0.224 0.475 0.081
0.273 0.024 0.923
0.727 0.976 0.077
0.776 0.525 0.919
0.017 0.269 0.568
0.495 0.248 0.433
0.505 0.752 0.567
0.983 0.731 0.432
0.020 0.276 0.426
0.074 0.327 0.057
0.092 0.839 0.361
0.119 0.372 0.650
0.136 0.078 0.834
0.169 0.608 0.176
0.214 0.964 0.079
0.289 0.538 0.929
0.326 0.889 0.833
0.355 0.422 0.177
0.390 0.144 0.355
0.398 0.646 0.641
0.421 0.173 0.941
0.499 0.256 0.575
0.501 0.744 0.425
0.579 0.827 0.059
0.602 0.354 0.359
0.610 0.856 0.645
0.645 0.578 0.823
0.674 0.111 0.167
0.711 0.462 0.071
0.786 0.036 0.921
0.831 0.392 0.824
0.864 0.922 0.166
0.881 0.628 0.350
0.908 0.161 0.639
0.926 0.673 0.943
0.980 0.724 0.574
```

Top 10 peaks for 2θ from 15° to 90°, in order of rising 2θ:
index  2θ (°)  I_rel
1 -1 1  16.6  43
2 0 1  23.9  25
1 1 -2  25.8  50
2 -2 0  26.9  76
-3 1 1  33.3  45
2 -2 2  33.5  88
2 2 0  34.1  100
2 -2 4  48.8  26
-2 2 4  48.9  26
4 -4 0  55.3  34

Friday's Feast One Hundred Ninety Six


When was the last time you had your hair cut/trimmed? Hehe, just last night!


Name one thing you miss about being a child. I miss spending time with my cousins at the beach or my grandparents pool.


Pick one: butter, margarine, olive oil. Butter! Tough choice though.

Main Course

If you could learn another language, which one would you pick, and why? I would learn French since a few of my friends speak it. I already know Spanish.


Finish this sentence: In 5 years I expect to be… Relaxing in my vacation home in Maine. Here's a photo of the lake from the beach.


  1. you already know spanish. that's nice.

    thanks for dropping by my feast @

  2. Happy Friday... I prefer our vacation home in Florida :-) Hey.. you come to Florida during the Maine winters and I'll come to Main during the summer heat :-)

  3. Time at the beach...wonderful!

    Wish I hadn't lost most of the Spanish I once knew...

    Can I visit you in Maine!?! :)
    I've always wanted to go there...

    Have a great weekend!

  4. bet your hair look fabulous!! Great feast this week.

  5. i spent a lot of time w/ my cousins too when i was a kid! why is that diff. as you get older? isn't it nice to reminisce our younger years? mine's up too at this link!

  6. Vacation home in Maine sounds like heaven. Beautiful hydrangeas, btw. I'd really like to try my hand at those, but we only have a balcony - no yard.

  7. Great feast! I need you to teach me some spanish words too - I see from the comments that I'm not alone. Maybe you need to do a new Spanish word of the day sometimes to teach us that don't have a clue, LOL!

    I hope you'll be in that new house in Maine before five years are up! :)

  8. You already know Spanish? That's really cool! Would you try commenting on my blog in Spanish (I write every post in both languages, except the memes)?

    You can find me here. Have a great weekend!

  9. I agree. Choosing between butter, olive oil is hard. I love them both but I choose olive oil for health reason. Great Feast!! i enjoy reading your blog.

  10. A Maine vacation sounds great.

    Hope you are having a great Friday.

  11. Your dessert looks and sounds awesome.

  12. Thanks for visiting me. Your ground in Maine looks wonderful!!

  13. Love the 5 year plan!
    Yes I miss those lazy days of summer just hanging out with friends and family at the pool.

    Hope you are having a good weekend!

  14. I took four years of French in high school. I can speak a smattering of it & understand a little more (I can read it more easily than I can listen to it). I have forgotten far more than I remember. I know random words though, and I clearly remember how to say "at the pool," "at the library" and "I have a hangover." LOL!
